
Reality, Zeilinger and current physics

2006/05/01 Roa Zubia, Guillermo - Elhuyar Zientzia Iturria: Elhuyar aldizkaria

Man is the slave of perception. Consider what you see, hear, or touch real. But perception is very limited. Science, on the other hand, allows objectively measuring reality. Or maybe not. Science only provides information, and in the end, as in the case of perception, reality is the information obtained.
Reality, Zeilinger and current physics
01/05/2006 | Roa Zubia, Guillermo | Elhuyar Zientzia Komunikazioa
(Photo: Archive)

The moon is in the sky. We see it. But does it also exist when no one sees it? This question is not simple. We know that the Moon exists when we see or measure the consequences of existing. Because we cannot perceive the Moon otherwise. But we cannot say that the Moon exists if it is not seen or measured at the moment. And you can't say that the Moon is there when we don't see it or measure it. So what is the Moon? The Moon is the same information.

Therefore, reality is information. When we don't have information, we assume what reality is, but we can't take it for granted. The Moon will be in space, yes.

Modern physics

Beyond this simple argument, physicists were in the 20th century. in the first half of the 20th century. According to them, the Moon does not exist if we do not see it or measure it. It is not known whether it exists or not, but it does not exist. Later, when we see it, it exists.

Albert Einstein was very concerned about this question, how will the Moon not exist when we do not see it? When we talk about the Moon, the approach seems a nonsense, but it is not clear what happens if we talk about electrons and protons.

We understand electrons, protons and particles of this type through the laws of quantum mechanics, we cannot understand them with the classical principles of physics. And there is the question: applying these laws, an electron does not measure a physical characteristic until we measure it. It is not an idea according to instinct and, however, it happens.

Anton Zeilinger at the Einstein Congress organized by DIPC in Donostia in September 2005.
R. Imaz, G. Roa

Where is an electron? To answer this question we must measure where it is. Moreover, according to quantum physics, while we do not measure it, the electron is nowhere. We don’t know where it is… it’s nowhere! And if this idea works with electrons and protons, why not with the Moon? The Moon is only a set of electrons, protons and other particles. Einstein understood this whole argument, but he could not accept it. He did not accept the interpretation that quantum physicists gave to reality.

Basic questions

Anton Zeilinger, an heir to those physicists, favors such discussions, believes that physics should be a science that asks what reality is. "That was the big challenge until modern physics developed. Galileo and Newton stopped wondering why. They stopped looking for the essence of phenomena. For example, they didn't want to know why a stone falls. Or what is mass. They stopped asking these kinds of things. They only wanted a mathematical description of what happens. And that's the greatest success of modern science," says Zeilinger.

Despite the success of modern science, the merit is not to ask these questions for the first time, but to take them back. This is, in short, the questions posed by the Greek philosophers. "These are very philosophical questions," says Zeilinger, "and modern physics can find answers within a hundred years and perhaps within five hundred years. In any case, they are questions of the future."


Richard Feynman received the 1965 Nobel Prize in Physics, with the same approach as the basic questions. For example, What Do You Care What Other People Think? in the book (What matters to you? ), Feynman says that as a child he had a truck and a ball to play. When the ball was placed inside the truck and driving the truck, the ball moved back. Advance in braking. "Why is this happening?" asked his father the young Feynman. "No one knows," the father said, "we call ourselves inertia, but no one knows why."

Richard Feynman.
Brookhaven National Laboratory

Inertia is studied, because what we call Newton's first law today is the physical law of inertia. If a force does not act, an object does not change speed. If it is standing, it will stand and if it is moving it will continue to move with the same speed and in the same direction and direction. Of course. It is a universal law of nature. But why nature plays like this… nobody knows.

According to Zeilinger, Feynman insisted on this idea. "In his opinion, philosophical questions are of great importance. Other physicists believe it is better to make calculations and not wonder what philosophical meaning the calculated one has, but Feynman disagreed. Philosophical questions had to be consulted, although perhaps we cannot answer."


Zeiliger has also taken care of these basic questions. "The main question is whether it is possible to distinguish between reality and information. I think you can't. When I talk about reality, when I talk about you, for example, I mean the information I have about you. I collect all the information I have about you in my brain, form an image and incorporate it into your reality. But this image is based on information. This idea is very important."

However, this approach poses many problems. Looking at the same thing, two people see different things, that is, they receive different information. In short, limitation is perception.

We see it. We listen. We play, smell, etc. and so is the perception of the world. But we never know to what extent the senses are reliable. In addition, it is not just a sensory problem.

Insects have a very short life cycle. Monarch butterflies, for example, are between five and seven weeks old. The perception of your time depends on this short life.

The perception of time, for example, does not depend on what a sense perceives. It is another thing, an interpretation of the brain. A certain time, like a year, is not as perceived by a child as by an adult. For the child it is usually a very long year and for the adult not. But how much is actually a year?

Many insects have a one-year life cycle in which they are born, develop, reproduce and die. A year for the insect is all life, and probably the perception of that period is not like that of a human being.

Fast and slowly

This perception is very important, for example, for reptiles. They are cold blood and their metabolism depends on temperature. They have a fast metabolism when there is heat and slow when there is cold. And metabolism influences movement; by day, under the sun, they are very fast animals, while at night they move slowly.

Hawks who feed on lizards take advantage of it, have little chance of catching them throughout the day, and for the hunt to be fruitful must strive at dawn or dusk. Falcon metabolism does not vary with room temperature, for them time is the same day and night. For Muskiz, on the contrary, the perception of time would vary greatly: from his point of view, the hawk is very fast at dawn and dusk, while throughout the day it is slow.

Objective measurement

Albert Einstein did not believe that it did not exist when we do not see the Moon.
And. Karsh

_Data records, as found in the file_
********
Density functional theory data (PBE) for an optimized crystal structure of Mg6TiSn.

- Total magnetization: 1.25 μB per formula unit
- ΔE to the lowest computed polymorph: 0.04 eV/f.u.

a b c (Å): 5.0069 6.3969 10.8793
angles (deg): 90.00 90.00 90.00
With the nearest neighbours (Å) after each atom.
Fractional positions:
Mg 0.0000 0.2539 0.0842  2 Sn 3.07-3.24, 8 Mg 3.08-3.25, 2 Ti 3.10
Mg 0.0000 0.7461 0.0842  2 Sn 3.07-3.24, 8 Mg 3.08-3.25, 2 Ti 3.10
Mg 0.0000 0.5000 0.8332  10 Mg 3.10-3.16, 2 Sn 3.20
Mg 0.5000 0.2535 0.9188  8 Mg 3.08-3.24, 2 Ti 3.14-3.17, 2 Sn 3.15
Mg 0.5000 0.7465 0.9188  8 Mg 3.08-3.24, 2 Ti 3.14-3.17, 2 Sn 3.15
Mg 0.5000 0.5000 0.6652  10 Mg 3.10-3.18, 2 Ti 3.20
Mg 0.0000 0.7539 0.5842  2 Sn 3.07-3.24, 8 Mg 3.08-3.25, 2 Ti 3.10
Mg 0.0000 0.2461 0.5842  2 Sn 3.07-3.24, 8 Mg 3.08-3.25, 2 Ti 3.10
Mg 0.0000 0.0000 0.3332  10 Mg 3.10-3.16, 2 Sn 3.20
Mg 0.5000 0.7535 0.4188  8 Mg 3.08-3.24, 2 Ti 3.14-3.17, 2 Sn 3.15
Mg 0.5000 0.2465 0.4188  8 Mg 3.08-3.24, 2 Ti 3.14-3.17, 2 Sn 3.15
Mg 0.5000 0.0000 0.1652  10 Mg 3.10-3.18, 2 Ti 3.20
Ti 0.5000 0.5000 0.1690  2 Sn 3.03, 10 Mg 3.10-3.20
Ti 0.5000 0.0000 0.6690  2 Sn 3.03, 10 Mg 3.10-3.20
Sn 0.0000 0.5000 0.3266  2 Ti 3.03, 10 Mg 3.07-3.24
Sn 0.0000 0.0000 0.8266  2 Ti 3.03, 10 Mg 3.07-3.24



Density functional theory data (PBE) for an optimized crystal structure of TmMgSn.

a b c (Å): 4.3676 4.3676 8.4791
angles (deg): 104.92 104.92 90.00
With the nearest neighbours (Å) after each atom.
Fractional positions:
Tm 0.6681 0.6681 0.3362  5 Sn 3.08-3.13, 4 Mg 3.44
Tm 0.3319 0.3319 0.6638  5 Sn 3.08-3.13, 4 Mg 3.44
Mg 0.5000 0.0000 0.0000  4 Sn 3.07, 4 Mg 3.09, 4 Tm 3.44
Mg 0.0000 0.5000 0.0000  4 Sn 3.07, 4 Mg 3.09, 4 Tm 3.44
Sn 0.8633 0.8633 0.7266  4 Mg 3.07, 5 Tm 3.08-3.13
Sn 0.1367 0.1367 0.2734  4 Mg 3.07, 5 Tm 3.08-3.13



Density functional theory data (PBE) for an optimized crystal structure of Mg14VSn.

- Total magnetization: 3.78 μB per formula unit
- ΔE to the lowest computed polymorph: 0.04 eV/f.u.

a b c (Å): 6.2907 6.2907 10.3809
angles (deg): 90.00 90.00 120.00
With the nearest neighbours (Å) after each atom.
Fractional positions:
Mg 0.1671 0.8336 0.1250  10 Mg 3.13-3.16, 2 V 3.15
Mg 0.1654 0.8327 0.6250  10 Mg 3.13-3.22, 2 Sn 3.15
Mg 0.6664 0.3329 0.1250  10 Mg 3.13-3.16, 2 V 3.15
Mg 0.6673 0.3346 0.6250  10 Mg 3.13-3.22, 2 Sn 3.15
Mg 0.6664 0.8336 0.1250  10 Mg 3.13-3.16, 2 V 3.15
Mg 0.6673 0.8327 0.6250  10 Mg 3.13-3.22, 2 Sn 3.15
Mg 0.3314 0.1686 0.3699  10 Mg 3.11-3.22, 1 V 3.11, 1 Sn 3.20
Mg 0.3314 0.1686 0.8801  10 Mg 3.11-3.22, 1 V 3.11, 1 Sn 3.20
Mg 0.3314 0.6628 0.3699  10 Mg 3.11-3.22, 1 V 3.11, 1 Sn 3.20
Mg 0.3314 0.6628 0.8801  10 Mg 3.11-3.22, 1 V 3.11, 1 Sn 3.20
Mg 0.8372 0.1686 0.3699  10 Mg 3.11-3.22, 1 V 3.11, 1 Sn 3.20
Mg 0.8372 0.1686 0.8801  10 Mg 3.11-3.22, 1 V 3.11, 1 Sn 3.20
Mg 0.8333 0.6667 0.3742  12 Mg 3.15-3.17
Mg 0.8333 0.6667 0.8758  12 Mg 3.15-3.17
V 0.1667 0.3333 0.1250  12 Mg 3.11-3.15
Sn 0.1667 0.3333 0.6250  12 Mg 3.15-3.20
********

Since perception varies from living being to living being and from person to person, the only way is to use tools to have objectivity. Time, for example, can be measured through clocks and, although we have the perception we receive, we will have an objective time, a clock that serves everyone.

It is an interesting idea, but physically impossible. In fact, time is relative according to the theory developed by Einstein. Two things that occur at once do not occur simultaneously from all reference systems. Logically, this surprising gap proposed by Einstein occurs when reference systems are moving together and only detected near the speed of light. Man cannot move at that speed, so he does not perceive it, but it happens.

According to the theory of relativity, therefore, it cannot be an objective perception of time. According to quantum mechanics, the particle questions reality. The two main theories of modern physics predict that it is difficult to decide what reality is. In the end, asking if the Moon is real or not is not rare. The Moon is that information we receive by looking at the sky or measuring our satellite. In short, reality is pure information.

Correlation effect and reality
In several experiments with two electrons a strange effect can occur. In English it is called entanglement, correlation in Basque, and it is a kind of agreement between two electrons: although both move away, the changes that occur in one of them occur in the other; moreover, when one measures a physical property of the other. No matter the distance between them. The effect of physical testing occurs when two kilometers of electrons are removed.
(Photo: Archive)
The effect is clearly seen if they are polarized at the time of distributing the two electrons; if the first electron is polarized to one side, the second will polarize to the other. But one cannot predict which side they will polarize; two identical experiments do not always yield the same result. The first electron sometimes comes out polarized to one side and sometimes reverse. However, when we measure the polarization of the first, there is no problem predicting the second. And there is the key: according to physicists, the electron has no polarization until it is measured. Somehow, while not measured, it has both polarizations. Together. Once measured, on the contrary, the reality of the first electron is consolidated and, therefore, that of the second.
Roa Bridge, Guillermo